## Entries
____________
A) Formula: C3H5N3S2
Source: the Open Molecules 2025 dataset
Level of theory: ωB97M-V/def2-TZVPD

Results
* HOMO energy: -8.2 eV
* LUMO level: -0.01094 hartree

```
! RIJCOSX wB97M-V def2-TZVPD def2/J DEFGRID3
* xyz 0 1
C 1.90061 0.39097 -0.09867
C 0.90468 -0.01393 -1.05176
C -0.42639 -0.66328 -0.52616
N -1.73190 0.82187 1.03730
N -1.29843 0.36946 -0.13812
N -1.24479 0.57856 2.13927
S 0.05523 -0.40871 2.50291
S 1.88669 0.33502 1.49595
H 0.64086 0.80807 -1.78226
H 1.46396 -0.68850 -1.69025
H -0.59975 -1.38385 -1.38045
H -0.17738 -1.25191 0.32548
H -1.37340 1.10621 -0.83324
*
```

B) Formula: C3H5N3S2
Source: the Open Molecules 2025 dataset
Level of theory: ωB97M-V/def2-TZVPD

Results
* HOMO energy: -8.2 eV
* structure (SMILES): Nn1[nH]c(S)cc1=S
* LUMO level: 0.00676 hartree

```
! RIJCOSX wB97M-V def2-TZVPD def2/J DEFGRID3
* xyz 0 1
C -0.40104 1.10102 0.62426
C 0.84179 1.04599 0.08086
C 0.84461 -0.22619 -0.62229
H -0.09828 -1.81591 -1.86441
H 0.04138 -2.96392 -0.46002
H -1.48769 -0.48327 1.61098
H -0.04828 3.11276 1.61008
H 1.26360 1.95427 -0.27721
N -0.48312 -2.10992 -0.82728
N -0.05054 -1.04551 -0.01120
N -1.01856 -0.20671 0.66199
S -1.22298 2.38596 1.46812
S 1.81910 -0.74857 -1.99389
*
```

C) Formula: C3H5N3S2
Source: the Open Molecules 2025 dataset
Level of theory: ωB97M-V/def2-TZVPD

Results
* HOMO energy: -8.7 eV
* structure (SMILES): N/N=C\C=N\SC=S
* LUMO level: -0.02008 hartree

```
! RIJCOSX wB97M-V def2-TZVPD def2/J DEFGRID3
* xyz 0 1
C -2.58749 0.89399 -0.06522
C -1.45802 -0.02301 -0.11685
C 2.32580 0.46451 0.07696
H -3.59320 -1.34852 0.69430
H -5.15779 -0.80758 0.36420
H -2.43391 1.97245 -0.17445
H -1.61339 -1.07953 -0.33632
H 1.96830 1.46299 0.25623
N -4.17485 -0.75327 0.09218
N -3.81669 0.55676 0.00514
N -0.25886 0.42518 -0.00093
S 1.03451 -0.66024 -0.12942
S 3.89680 0.04691 0.07642
*
```

It comes down to C), which is 0.0197 hartree more stable than the next structure.

A) Formula: C3H5N3S2
Source: the Open Molecules 2025 dataset
Level of theory: ωB97M-V/def2-TZVPD

Results
* HOMO energy (alpha / beta): -8.9 / -7.9 eV
* LUMO level (alpha / beta): -0.05314 / -0.09180 hartree

```
! RIJCOSX wB97M-V def2-TZVPD def2/J DEFGRID3
* xyz 0 1
C 0.65493 1.10082 -0.07499
C 0.84741 -0.22724 0.77489
C 0.34469 -1.28934 -0.17237
N -1.05107 -1.29194 -0.43503
N -0.58338 1.49098 -0.22571
N -1.79912 -0.34482 -0.21091
S -3.27920 0.06606 -0.09919
S 1.98856 2.11502 -0.43171
H 1.86900 -0.35508 1.06419
H 0.12016 -0.04033 1.64815
H 1.02084 -1.12055 -1.02518
H 0.45355 -2.41156 0.11436
H -0.58636 2.30796 -0.92649
*
```

B) Formula: C3H5N3S2
Source: the Open Molecules 2025 dataset
Level of theory: ωB97M-V/def2-TZVPD

Results
* HOMO energy: -8.2 eV
* structure (SMILES): S=c1nc(CS)[nH][nH]1
* LUMO level: 0.01180 hartree

```
! RIJCOSX wB97M-V def2-TZVPD def2/J DEFGRID3
* xyz 0 1
C 1.23484 -0.17589 1.20928
C 0.38249 0.06526 0.01360
C -0.26083 0.64552 -1.96135
H -0.32427 0.13780 2.96988
H 2.05202 -0.86374 0.92246
H 1.68135 0.77488 1.49090
H -2.22286 0.04150 -1.63660
H -1.18194 -1.25784 0.32792
N 0.78984 0.69896 -1.05284
N -1.24842 -0.14174 -1.39965
N -0.91212 -0.35524 -0.07559
S 0.38384 -0.94304 2.62652
S -0.37396 1.37358 -3.43454
*
```

It comes down to B), which is 0.1608 hartree more stable than the next structure.

A) Formula: C4H13NO2
Source: the Open Molecules 2025 dataset
Level of theory: ωB97M-V/def2-TZVPD

Results
* HOMO energy (alpha / beta): -14.6 / -14.6 eV
* LUMO level (alpha / beta): -0.12384 / -0.30265 hartree

```
! RIJCOSX wB97M-V def2-TZVPD def2/J DEFGRID3
* xyz 1 2
C -0.81287 -2.52729 0.19489
N -0.61568 -1.16351 -0.17447
C 0.63410 -0.55412 -0.63046
C 0.68982 0.89569 -0.92089
C 2.20364 1.25674 -1.07533
O 0.09951 1.73332 0.08251
H -1.39448 -2.60607 1.11528
H 0.13712 -2.94843 0.56031
H -1.14629 -3.11305 -0.66501
H -1.38876 -0.74380 -0.70314
H 1.26582 -0.76894 0.26100
H 1.06490 -1.17794 -1.42388
H 0.20679 1.21874 -1.85203
H 2.55108 1.20008 -2.10457
H 2.62607 2.12041 -0.56904
H 2.74859 0.50062 -0.49445
H 0.14851 2.59881 -0.30769
____________

## Brief
It remains to give back the lines further up up to the one that holds "1.03451 -0.66024", that line included.

## Written answer
A) Formula: C3H5N3S2
Source: the Open Molecules 2025 dataset
Level of theory: ωB97M-V/def2-TZVPD

Results
* HOMO energy: -8.2 eV
* LUMO level: -0.01094 hartree

```
! RIJCOSX wB97M-V def2-TZVPD def2/J DEFGRID3
* xyz 0 1
C 1.90061 0.39097 -0.09867
C 0.90468 -0.01393 -1.05176
C -0.42639 -0.66328 -0.52616
N -1.73190 0.82187 1.03730
N -1.29843 0.36946 -0.13812
N -1.24479 0.57856 2.13927
S 0.05523 -0.40871 2.50291
S 1.88669 0.33502 1.49595
H 0.64086 0.80807 -1.78226
H 1.46396 -0.68850 -1.69025
H -0.59975 -1.38385 -1.38045
H -0.17738 -1.25191 0.32548
H -1.37340 1.10621 -0.83324
*
```

B) Formula: C3H5N3S2
Source: the Open Molecules 2025 dataset
Level of theory: ωB97M-V/def2-TZVPD

Results
* HOMO energy: -8.2 eV
* structure (SMILES): Nn1[nH]c(S)cc1=S
* LUMO level: 0.00676 hartree

```
! RIJCOSX wB97M-V def2-TZVPD def2/J DEFGRID3
* xyz 0 1
C -0.40104 1.10102 0.62426
C 0.84179 1.04599 0.08086
C 0.84461 -0.22619 -0.62229
H -0.09828 -1.81591 -1.86441
H 0.04138 -2.96392 -0.46002
H -1.48769 -0.48327 1.61098
H -0.04828 3.11276 1.61008
H 1.26360 1.95427 -0.27721
N -0.48312 -2.10992 -0.82728
N -0.05054 -1.04551 -0.01120
N -1.01856 -0.20671 0.66199
S -1.22298 2.38596 1.46812
S 1.81910 -0.74857 -1.99389
*
```

C) Formula: C3H5N3S2
Source: the Open Molecules 2025 dataset
Level of theory: ωB97M-V/def2-TZVPD

Results
* HOMO energy: -8.7 eV
* structure (SMILES): N/N=C\C=N\SC=S
* LUMO level: -0.02008 hartree

```
! RIJCOSX wB97M-V def2-TZVPD def2/J DEFGRID3
* xyz 0 1
C -2.58749 0.89399 -0.06522
C -1.45802 -0.02301 -0.11685
C 2.32580 0.46451 0.07696
H -3.59320 -1.34852 0.69430
H -5.15779 -0.80758 0.36420
H -2.43391 1.97245 -0.17445
H -1.61339 -1.07953 -0.33632
H 1.96830 1.46299 0.25623
N -4.17485 -0.75327 0.09218
N -3.81669 0.55676 0.00514
N -0.25886 0.42518 -0.00093
S 1.03451 -0.66024 -0.12942